_Entries_
+++
# 1
Starting from DFT lattice parameters and positions (GGA-PBE), the X-ray powder pattern of Ho5BiTe5 was simulated for Cu Kα X-rays.
Kinematic intensities with the Lorentz-polarization factor, no thermal factor.

Largest 12 diffraction maxima, low angle first, 2θ from 15° to 90°:
| d_spacing | Position (°2θ) | Rel. int. |
| --- | --- | --- |
| 5.579 | 15.89 | 9 |
| 3.089 | 28.91 | 51 |
| 3.063 | 29.15 | 100 |
| 2.175 | 41.52 | 77 |
| 2.166 | 41.70 | 38 |
| 1.773 | 51.53 | 41 |
| 1.379 | 67.98 | 18 |
| 1.374 | 68.29 | 9 |
| 1.371 | 68.44 | 17 |
| 1.257 | 75.62 | 13 |
| 1.253 | 75.94 | 13 |
| 1.251 | 76.05 | 13 |

Structural model:
```
11
Lattice="6.842 -3.089 0.000 6.842 3.089 0.000 -2.725 0.000 8.228" Properties=species:S:1:pos:R:3 pbc="T T T"
Ho 0.000 0.000 0.000
Ho 4.095 0.000 1.409
Ho 2.771 0.000 5.459
Ho 8.188 0.000 2.769
Ho 6.864 0.000 6.820
Bi 6.842 0.000 0.000
Te 1.299 0.000 2.776
Te 0.011 0.000 6.825
Te 5.480 0.000 4.114
Te 10.948 0.000 1.404
Te 9.660 0.000 5.453
```

***

# 2
Starting from DFT lattice parameters and positions (GGA-PBE), the X-ray powder pattern of Ho3Bi2Te was simulated for Cu Kα X-rays.
Kinematic intensities with the Lorentz-polarization factor, no thermal factor.

Largest 12 diffraction maxima, low angle first, 2θ from 15° to 90°:
| d_spacing | Position (°2θ) | Rel. int. |
| --- | --- | --- |
| 3.121 | 28.61 | 9 |
| 2.802 | 31.94 | 100 |
| 2.629 | 34.10 | 15 |
| 2.549 | 35.21 | 19 |
| 2.478 | 36.25 | 8 |
| 2.178 | 41.46 | 16 |
| 1.677 | 54.73 | 8 |
| 1.656 | 55.50 | 12 |
| 1.594 | 57.86 | 7 |
| 1.549 | 59.69 | 7 |
| 1.516 | 61.14 | 8 |
| 1.350 | 69.67 | 11 |

Structural model:
```
12
Lattice="2.178 -7.887 0.000 2.178 7.887 0.000 0.000 0.000 10.194" Properties=species:S:1:pos:R:3 pbc="T T T"
Ho 2.178 5.651 7.646
Ho 2.178 2.556 5.492
Ho 2.178 2.556 9.799
Ho 2.178 -2.556 0.395
Ho 2.178 -2.556 4.702
Ho 2.178 -5.651 2.549
Bi 0.000 0.000 0.000
Bi 0.000 0.000 5.097
Bi 2.178 0.034 7.646
Bi 2.178 -0.034 2.549
Te 2.178 4.360 2.549
Te 2.178 -4.360 7.646
```

***

# 3
Starting from DFT lattice parameters and positions (GGA-PBE), the X-ray powder pattern of Ho4BiTe2 was simulated for Cu Kα X-rays.
Kinematic intensities with the Lorentz-polarization factor, no thermal factor.

Largest 12 diffraction maxima, low angle first, 2θ from 15° to 90°:
| d_spacing | Position (°2θ) | Rel. int. |
| --- | --- | --- |
| 4.792 | 18.51 | 17 |
| 3.900 | 22.80 | 17 |
| 3.389 | 26.30 | 24 |
| 3.026 | 29.52 | 58 |
| 2.976 | 30.03 | 100 |
| 2.558 | 35.08 | 87 |
| 2.547 | 35.24 | 99 |
| 2.257 | 39.95 | 30 |
| 2.036 | 44.50 | 16 |
| 1.856 | 49.08 | 17 |
| 1.583 | 58.29 | 19 |
| 1.554 | 59.48 | 15 |

Structural model:
```
14
Lattice="-4.792 4.792 4.696 4.792 -4.792 4.696 4.792 4.792 -4.696" Properties=species:S:1:pos:R:3 pbc="T T T"
Ho 6.600 -0.542 0.600
Ho 2.985 0.542 0.600
Ho 4.251 2.985 -1.748
Ho 5.334 -1.807 4.097
Ho 0.542 1.807 2.948
Ho 4.251 1.807 4.097
Ho 2.985 4.251 1.748
Ho 1.807 0.542 6.445
Bi 0.000 0.000 0.000
Bi 0.000 4.792 2.348
Te 2.396 -0.506 3.522
Te 5.299 2.396 1.174
Te 2.396 5.299 -1.174
Te -0.506 2.396 5.870
```

***

# 4
Starting from DFT lattice parameters and positions (GGA-PBE), the X-ray powder pattern of Ho5Bi4Te was simulated for Cu Kα X-rays.
Kinematic intensities with the Lorentz-polarization factor, no thermal factor.

Largest 10 diffraction maxima, low angle first, 2θ from 15° to 90°:
| d_spacing | Position (°2θ) | Rel. int. |
| --- | --- | --- |
| 5.304 | 16.72 | 1 |
| 3.622 | 24.58 | 1 |
| 3.137 | 28.45 | 100 |
| 2.218 | 40.68 | 78 |
| 1.892 | 48.10 | 1 |
| 1.811 | 50.39 | 28 |
| 1.568 | 58.88 | 13 |
| 1.403 | 66.67 | 37 |
| 1.281 | 74.02 | 27 |
| 1.109 | 88.07 | 9 |

Structural model:
```
10
Lattice="-4.959 4.959 3.138 4.959 -4.959 3.138 4.959 4.959 -3.138" Properties=species:S:1:pos:R:3 pbc="T T T"
Ho 0.000 0.000 0.000
Ho 5.957 1.968 0.000
Ho 1.968 3.960 0.000
Ho 2.991 0.999 3.138
Ho -0.999 2.991 3.138
Bi 2.966 0.995 0.000
Bi 3.964 -1.993 3.138
Bi 0.995 6.951 0.000
Bi 1.993 3.964 3.138
+++

_Request_
Please reproduce the block earlier on from the line with "2.175" to the end without additions.

_Here it is_
| 2.175 | 41.52 | 77 |
| 2.166 | 41.70 | 38 |
| 1.773 | 51.53 | 41 |
| 1.379 | 67.98 | 18 |
| 1.374 | 68.29 | 9 |
| 1.371 | 68.44 | 17 |
| 1.257 | 75.62 | 13 |
| 1.253 | 75.94 | 13 |
| 1.251 | 76.05 | 13 |

Structural model:
```
11
Lattice="6.842 -3.089 0.000 6.842 3.089 0.000 -2.725 0.000 8.228" Properties=species:S:1:pos:R:3 pbc="T T T"
Ho 0.000 0.000 0.000
Ho 4.095 0.000 1.409
Ho 2.771 0.000 5.459
Ho 8.188 0.000 2.769
Ho 6.864 0.000 6.820
Bi 6.842 0.000 0.000
Te 1.299 0.000 2.776
Te 0.011 0.000 6.825
Te 5.480 0.000 4.114
Te 10.948 0.000 1.404
Te 9.660 0.000 5.453
```

***

# 2
Starting from DFT lattice parameters and positions (GGA-PBE), the X-ray powder pattern of Ho3Bi2Te was simulated for Cu Kα X-rays.
Kinematic intensities with the Lorentz-polarization factor, no thermal factor.

Largest 12 diffraction maxima, low angle first, 2θ from 15° to 90°:
| d_spacing | Position (°2θ) | Rel. int. |
| --- | --- | --- |
| 3.121 | 28.61 | 9 |
| 2.802 | 31.94 | 100 |
| 2.629 | 34.10 | 15 |
| 2.549 | 35.21 | 19 |
| 2.478 | 36.25 | 8 |
| 2.178 | 41.46 | 16 |
| 1.677 | 54.73 | 8 |
| 1.656 | 55.50 | 12 |
| 1.594 | 57.86 | 7 |
| 1.549 | 59.69 | 7 |
| 1.516 | 61.14 | 8 |
| 1.350 | 69.67 | 11 |

Structural model:
```
12
Lattice="2.178 -7.887 0.000 2.178 7.887 0.000 0.000 0.000 10.194" Properties=species:S:1:pos:R:3 pbc="T T T"
Ho 2.178 5.651 7.646
Ho 2.178 2.556 5.492
Ho 2.178 2.556 9.799
Ho 2.178 -2.556 0.395
Ho 2.178 -2.556 4.702
Ho 2.178 -5.651 2.549
Bi 0.000 0.000 0.000
Bi 0.000 0.000 5.097
Bi 2.178 0.034 7.646
Bi 2.178 -0.034 2.549
Te 2.178 4.360 2.549
Te 2.178 -4.360 7.646
```

***

# 3
Starting from DFT lattice parameters and positions (GGA-PBE), the X-ray powder pattern of Ho4BiTe2 was simulated for Cu Kα X-rays.
Kinematic intensities with the Lorentz-polarization factor, no thermal factor.

Largest 12 diffraction maxima, low angle first, 2θ from 15° to 90°:
| d_spacing | Position (°2θ) | Rel. int. |
| --- | --- | --- |
| 4.792 | 18.51 | 17 |
| 3.900 | 22.80 | 17 |
| 3.389 | 26.30 | 24 |
| 3.026 | 29.52 | 58 |
| 2.976 | 30.03 | 100 |
| 2.558 | 35.08 | 87 |
| 2.547 | 35.24 | 99 |
| 2.257 | 39.95 | 30 |
| 2.036 | 44.50 | 16 |
| 1.856 | 49.08 | 17 |
| 1.583 | 58.29 | 19 |
| 1.554 | 59.48 | 15 |

Structural model:
```
14
Lattice="-4.792 4.792 4.696 4.792 -4.792 4.696 4.792 4.792 -4.696" Properties=species:S:1:pos:R:3 pbc="T T T"
Ho 6.600 -0.542 0.600
Ho 2.985 0.542 0.600
Ho 4.251 2.985 -1.748
Ho 5.334 -1.807 4.097
Ho 0.542 1.807 2.948
Ho 4.251 1.807 4.097
Ho 2.985 4.251 1.748
Ho 1.807 0.542 6.445
Bi 0.000 0.000 0.000
Bi 0.000 4.792 2.348
Te 2.396 -0.506 3.522
Te 5.299 2.396 1.174
Te 2.396 5.299 -1.174
Te -0.506 2.396 5.870
```

***

# 4
Starting from DFT lattice parameters and positions (GGA-PBE), the X-ray powder pattern of Ho5Bi4Te was simulated for Cu Kα X-rays.
Kinematic intensities with the Lorentz-polarization factor, no thermal factor.

Largest 10 diffraction maxima, low angle first, 2θ from 15° to 90°:
| d_spacing | Position (°2θ) | Rel. int. |
| --- | --- | --- |
| 5.304 | 16.72 | 1 |
| 3.622 | 24.58 | 1 |
| 3.137 | 28.45 | 100 |
| 2.218 | 40.68 | 78 |
| 1.892 | 48.10 | 1 |
| 1.811 | 50.39 | 28 |
| 1.568 | 58.88 | 13 |
| 1.403 | 66.67 | 37 |
| 1.281 | 74.02 | 27 |
| 1.109 | 88.07 | 9 |

Structural model:
```
10
Lattice="-4.959 4.959 3.138 4.959 -4.959 3.138 4.959 4.959 -3.138" Properties=species:S:1:pos:R:3 pbc="T T T"
Ho 0.000 0.000 0.000
Ho 5.957 1.968 0.000
Ho 1.968 3.960 0.000
Ho 2.991 0.999 3.138
Ho -0.999 2.991 3.138
Bi 2.966 0.995 0.000
Bi 3.964 -1.993 3.138
Bi 0.995 6.951 0.000
Bi 1.993 3.964 3.138